Assignment:
Your job: write out the whole of the notes underneath character by character.

File:
- - -
A structure of composition C28H36N4O2P2Pb. Source: the Open Molecules 2025 dataset; level of theory: ωB97M-V/def2-TZVPD.

Atoms and positions in Å:
Pb 0.083 -2.457 1.619
P -2.093 -0.847 -1.146
P 1.340 -1.470 -1.177
O -0.515 -1.410 3.803
O -1.672 -3.216 3.146
N 2.179 -2.684 -2.273
N -3.696 -1.242 -1.875
N -2.191 0.873 -1.699
N 2.640 -0.282 -1.407
C -0.988 3.324 5.066
C 0.334 -0.740 -2.530
C 1.851 3.659 2.939
C 2.471 -3.973 -1.830
C 1.632 -3.648 2.980
C 0.499 1.513 2.778
C -2.199 1.431 -2.982
C 2.831 -3.903 -4.084
C -1.908 1.913 -0.799
C -5.534 -1.504 -3.201
C 0.357 4.010 5.031
C -4.184 -2.548 -1.701
C 2.861 -4.751 -2.924
C 1.699 2.399 2.552
C 4.578 0.797 -0.950
C -4.529 -0.618 -2.809
C -1.428 2.456 4.155
C -1.081 -1.356 -2.610
C 4.187 1.140 -2.287
C -5.311 -2.729 -2.487
C 2.452 -2.633 -3.642
C -1.942 2.792 -2.897
C 2.999 0.447 -2.543
C 3.622 -0.071 -0.436
C -1.750 3.097 -1.512
C 0.861 4.535 3.625
C -0.879 2.250 2.768
C -1.443 -2.291 3.989
H -1.908 3.483 -3.730
H -0.791 3.193 2.196
H 2.384 0.450 -3.430
H -1.875 1.714 0.270
H 3.041 -4.164 -5.107
H 2.387 -4.210 -0.780
H -1.526 4.071 -1.090
H 2.272 -3.016 3.626
H -1.593 3.563 5.959
H -4.376 0.400 -3.115
H -2.080 -2.229 4.907
H 2.354 -1.725 -4.207
H 3.124 -5.794 -2.910
H 1.086 -4.327 3.670
H 2.281 -4.270 2.320
H 0.265 0.350 -2.360
H -3.685 -3.216 -1.012
H 1.089 3.304 5.466
H -2.415 0.839 -3.859
H 5.474 1.135 -0.440
H -6.318 -1.297 -3.908
H -2.353 1.890 4.296
H -1.055 -2.460 -2.606
H -1.570 1.552 2.257
H -1.584 -1.044 -3.544
H 1.365 5.498 3.831
H 0.349 4.896 5.694
H 0.796 -0.893 -3.520
H 4.691 1.773 -2.991
H -5.906 -3.629 -2.552
H 0.572 0.940 3.733
H 0.002 4.742 2.974
H 2.533 1.878 2.041
H 0.483 0.738 1.969
H 2.814 4.167 2.780
H 3.538 -0.566 0.523

2S+1   1
Charge   +2
HOMO (spin up / spin down)   -12.731 / -12.731 eV
LUMO (spin up / spin down)   -10.08 / -10.26 eV
Max |F|   5.188 eV/A

---

A structure of composition C28H37BF5N2PdSi2. Source: the Open Molecules 2025 dataset; level of theory: ωB97M-V/def2-TZVPD.

Atoms and positions in Å:
Pd -0.905 0.134 0.803
Si -0.167 0.434 3.667
Si -0.034 1.508 -1.875
F -5.182 0.112 2.487
F -3.205 -0.173 1.397
F -4.520 -1.974 1.911
F -3.444 -0.862 3.562
F -1.588 -2.186 0.512
N 1.302 -0.453 -0.352
N -0.130 -0.888 2.577
C 0.952 -1.714 -1.002
C -1.747 -4.130 1.816
C -1.318 -2.828 1.714
C 1.595 0.614 -1.309
C -0.627 -2.134 2.725
C 2.146 -2.455 -1.621
C -1.112 1.874 -0.407
C 0.515 3.189 -2.617
C 2.368 -0.660 0.622
C -0.823 -4.209 4.009
C 0.078 3.664 -3.850
C -2.048 0.051 -3.368
C 1.121 5.793 -3.476
C -0.078 0.067 5.553
C -2.556 -0.596 -4.483
C -0.738 0.517 -3.345
C 1.568 5.342 -2.244
C 1.432 1.436 3.291
C -0.395 -2.905 3.883
C -1.641 1.645 3.454
C 1.260 4.060 -1.827
C 3.218 -2.699 -0.561
C -0.439 -0.370 -5.580
C -1.504 -4.842 2.979
C -1.756 -0.800 -5.595
C 0.380 4.944 -4.281
C 3.608 -1.359 0.053
C 0.057 0.284 -4.466
B -4.112 -0.743 2.361
H 4.070 -0.730 -0.713
H 1.947 -1.241 1.446
H 2.195 0.245 -2.151
H 2.654 0.315 1.020
H 4.091 -3.182 -1.011
H -2.674 0.194 -2.501
H -2.275 -4.571 0.986
H -1.468 2.578 3.984
H -0.055 1.004 6.102
H -2.154 -1.290 -6.473
H 4.334 -1.495 0.856
H -0.513 3.015 -4.481
H 0.154 -2.430 4.680
H 0.195 -1.506 -1.767
H 0.814 -0.490 5.824
H 0.196 -0.539 -6.439
H 2.835 -3.361 0.222
H 2.204 1.356 -0.793
H 2.324 0.826 3.389
H 0.523 -2.377 -0.247
H 0.029 5.293 -5.245
H 2.146 5.997 -1.607
H -0.842 2.804 0.096
H -3.581 -0.941 -4.492
H 1.403 1.850 2.286
H -2.188 1.862 -0.608
H 1.347 6.800 -3.801
H 2.567 -1.866 -2.439
H 1.081 0.633 -4.463
H -2.552 1.203 3.837
H 1.517 2.261 3.991
H -1.812 1.875 2.395
H -0.945 -0.496 5.883
H 1.795 -3.405 -2.035
H 1.595 3.725 -0.856
H -1.847 -5.861 3.078
H -0.638 -4.743 4.933

2S+1   1
Charge   -1
HOMO (spin up / spin down)   -4.428 / -4.398 eV
LUMO (spin up / spin down)   1.60 / 1.81 eV
Max |F|   2.271 eV/A

---

A structure of composition C28H37Cl2CrN6O10PS. Source: the Open Molecules 2025 dataset; level of theory: ωB97M-V/def2-TZVPD.

Atoms and positions in Å:
Cr -0.379 -0.486 0.230
Cl -4.061 1.066 -2.539
- - -

Response:
A structure of composition C28H36N4O2P2Pb. Source: the Open Molecules 2025 dataset; level of theory: ωB97M-V/def2-TZVPD.

Atoms and positions in Å:
Pb 0.083 -2.457 1.619
P -2.093 -0.847 -1.146
P 1.340 -1.470 -1.177
O -0.515 -1.410 3.803
O -1.672 -3.216 3.146
N 2.179 -2.684 -2.273
N -3.696 -1.242 -1.875
N -2.191 0.873 -1.699
N 2.640 -0.282 -1.407
C -0.988 3.324 5.066
C 0.334 -0.740 -2.530
C 1.851 3.659 2.939
C 2.471 -3.973 -1.830
C 1.632 -3.648 2.980
C 0.499 1.513 2.778
C -2.199 1.431 -2.982
C 2.831 -3.903 -4.084
C -1.908 1.913 -0.799
C -5.534 -1.504 -3.201
C 0.357 4.010 5.031
C -4.184 -2.548 -1.701
C 2.861 -4.751 -2.924
C 1.699 2.399 2.552
C 4.578 0.797 -0.950
C -4.529 -0.618 -2.809
C -1.428 2.456 4.155
C -1.081 -1.356 -2.610
C 4.187 1.140 -2.287
C -5.311 -2.729 -2.487
C 2.452 -2.633 -3.642
C -1.942 2.792 -2.897
C 2.999 0.447 -2.543
C 3.622 -0.071 -0.436
C -1.750 3.097 -1.512
C 0.861 4.535 3.625
C -0.879 2.250 2.768
C -1.443 -2.291 3.989
H -1.908 3.483 -3.730
H -0.791 3.193 2.196
H 2.384 0.450 -3.430
H -1.875 1.714 0.270
H 3.041 -4.164 -5.107
H 2.387 -4.210 -0.780
H -1.526 4.071 -1.090
H 2.272 -3.016 3.626
H -1.593 3.563 5.959
H -4.376 0.400 -3.115
H -2.080 -2.229 4.907
H 2.354 -1.725 -4.207
H 3.124 -5.794 -2.910
H 1.086 -4.327 3.670
H 2.281 -4.270 2.320
H 0.265 0.350 -2.360
H -3.685 -3.216 -1.012
H 1.089 3.304 5.466
H -2.415 0.839 -3.859
H 5.474 1.135 -0.440
H -6.318 -1.297 -3.908
H -2.353 1.890 4.296
H -1.055 -2.460 -2.606
H -1.570 1.552 2.257
H -1.584 -1.044 -3.544
H 1.365 5.498 3.831
H 0.349 4.896 5.694
H 0.796 -0.893 -3.520
H 4.691 1.773 -2.991
H -5.906 -3.629 -2.552
H 0.572 0.940 3.733
H 0.002 4.742 2.974
H 2.533 1.878 2.041
H 0.483 0.738 1.969
H 2.814 4.167 2.780
H 3.538 -0.566 0.523

2S+1   1
Charge   +2
HOMO (spin up / spin down)   -12.731 / -12.731 eV
LUMO (spin up / spin down)   -10.08 / -10.26 eV
Max |F|   5.188 eV/A

---

A structure of composition C28H37BF5N2PdSi2. Source: the Open Molecules 2025 dataset; level of theory: ωB97M-V/def2-TZVPD.

Atoms and positions in Å:
Pd -0.905 0.134 0.803
Si -0.167 0.434 3.667
Si -0.034 1.508 -1.875
F -5.182 0.112 2.487
F -3.205 -0.173 1.397
F -4.520 -1.974 1.911
F -3.444 -0.862 3.562
F -1.588 -2.186 0.512
N 1.302 -0.453 -0.352
N -0.130 -0.888 2.577
C 0.952 -1.714 -1.002
C -1.747 -4.130 1.816
C -1.318 -2.828 1.714
C 1.595 0.614 -1.309
C -0.627 -2.134 2.725
C 2.146 -2.455 -1.621
C -1.112 1.874 -0.407
C 0.515 3.189 -2.617
C 2.368 -0.660 0.622
C -0.823 -4.209 4.009
C 0.078 3.664 -3.850
C -2.048 0.051 -3.368
C 1.121 5.793 -3.476
C -0.078 0.067 5.553
C -2.556 -0.596 -4.483
C -0.738 0.517 -3.345
C 1.568 5.342 -2.244
C 1.432 1.436 3.291
C -0.395 -2.905 3.883
C -1.641 1.645 3.454
C 1.260 4.060 -1.827
C 3.218 -2.699 -0.561
C -0.439 -0.370 -5.580
C -1.504 -4.842 2.979
C -1.756 -0.800 -5.595
C 0.380 4.944 -4.281
C 3.608 -1.359 0.053
C 0.057 0.284 -4.466
B -4.112 -0.743 2.361
H 4.070 -0.730 -0.713
H 1.947 -1.241 1.446
H 2.195 0.245 -2.151
H 2.654 0.315 1.020
H 4.091 -3.182 -1.011
H -2.674 0.194 -2.501
H -2.275 -4.571 0.986
H -1.468 2.578 3.984
H -0.055 1.004 6.102
H -2.154 -1.290 -6.473
H 4.334 -1.495 0.856
H -0.513 3.015 -4.481
H 0.154 -2.430 4.680
H 0.195 -1.506 -1.767
H 0.814 -0.490 5.824
H 0.196 -0.539 -6.439
H 2.835 -3.361 0.222
H 2.204 1.356 -0.793
H 2.324 0.826 3.389
H 0.523 -2.377 -0.247
H 0.029 5.293 -5.245
H 2.146 5.997 -1.607
H -0.842 2.804 0.096
H -3.581 -0.941 -4.492
H 1.403 1.850 2.286
H -2.188 1.862 -0.608
H 1.347 6.800 -3.801
H 2.567 -1.866 -2.439
H 1.081 0.633 -4.463
H -2.552 1.203 3.837
H 1.517 2.261 3.991
H -1.812 1.875 2.395
H -0.945 -0.496 5.883
H 1.795 -3.405 -2.035
H 1.595 3.725 -0.856
H -1.847 -5.861 3.078
H -0.638 -4.743 4.933

2S+1   1
Charge   -1
HOMO (spin up / spin down)   -4.428 / -4.398 eV
LUMO (spin up / spin down)   1.60 / 1.81 eV
Max |F|   2.271 eV/A

---

A structure of composition C28H37Cl2CrN6O10PS. Source: the Open Molecules 2025 dataset; level of theory: ωB97M-V/def2-TZVPD.

Atoms and positions in Å:
Cr -0.379 -0.486 0.230
Cl -4.061 1.066 -2.539